**Contents**
********
No. 1
DFT (PBE+U) results for LiMn2P2O8 after structural relaxation.

a b c (Å): 7.297 8.473 14.659
angles (deg): 89.85 90.00 90.00
Atoms (fractional coordinates):
Li  0.835  0.820  0.659
Li  0.682  0.824  0.010
Li  0.822  0.844  0.335
Li  0.322  0.156  0.665
Li  0.182  0.176  0.990
Li  0.335  0.180  0.341
Mn  0.963  0.485  0.667
Mn  0.048  0.499  0.335
Mn  0.005  0.518  0.993
Mn  0.548  0.501  0.665
Mn  0.505  0.482  0.007
Mn  0.463  0.515  0.333
Mn  0.546  0.994  0.174
Mn  0.506  0.976  0.495
Mn  0.458  0.988  0.835
Mn  0.006  0.024  0.505
Mn  0.958  0.012  0.165
Mn  0.046  0.006  0.826
P  0.258  0.302  0.159
P  0.238  0.335  0.515
P  0.256  0.362  0.821
P  0.756  0.638  0.179
P  0.738  0.665  0.485
P  0.758  0.698  0.841
P  0.252  0.810  0.663
P  0.258  0.840  0.023
P  0.232  0.858  0.326
P  0.732  0.142  0.674
P  0.758  0.160  0.977
P  0.752  0.190  0.337
O  0.573  0.284  0.347
O  0.922  0.285  0.361
O  0.753  0.318  0.700
O  0.057  0.325  0.568
O  0.735  0.325  0.017
O  0.394  0.361  0.584
O  0.239  0.345  0.261
O  0.276  0.368  0.926
O  0.434  0.426  0.777
O  0.233  0.462  0.436
O  0.281  0.447  0.099
O  0.088  0.452  0.790
O  0.733  0.538  0.564
O  0.588  0.548  0.210
O  0.781  0.553  0.901
O  0.934  0.574  0.223
O  0.739  0.655  0.739
O  0.776  0.632  0.074
O  0.894  0.639  0.416
O  0.557  0.675  0.432
O  0.235  0.675  0.983
O  0.253  0.682  0.300
O  0.422  0.715  0.639
O  0.073  0.716  0.653
O  0.929  0.808  0.856
O  0.589  0.789  0.878
O  0.735  0.821  0.206
O  0.771  0.829  0.531
O  0.443  0.850  0.075
O  0.096  0.876  0.087
O  0.215  0.881  0.429
O  0.264  0.870  0.767
O  0.052  0.926  0.283
O  0.242  0.962  0.604
O  0.395  0.962  0.292
O  0.263  0.968  0.944
O  0.895  0.038  0.708
O  0.742  0.038  0.396
O  0.763  0.032  0.056
O  0.552  0.074  0.717
O  0.715  0.119  0.571
O  0.764  0.130  0.233
O  0.596  0.124  0.913
O  0.271  0.171  0.469
O  0.943  0.150  0.925
O  0.235  0.179  0.794
O  0.089  0.211  0.122
O  0.429  0.192  0.144

## Properties
The calculation puts the formation energy at -2.48 eV/atom. The value obtained for the energy above the most stable polymorph in this dataset is 54 meV per atom. The crystal system is monoclinic. Its volume is 11.6 Å³ per atom.

No. 2
DFT (PBE+U) results for LiMn3P3O12 after structural relaxation.

a b c (Å): 9.041 9.054 12.267
angles (deg): 109.51 109.90 84.11
Atoms (fractional coordinates):
Li  0.512  0.506  0.012
Li  0.365  0.388  0.375
Li  0.988  0.993  0.489
Li  0.250  0.251  0.751
Mn  0.482  0.163  0.098
Mn  0.011  0.334  0.399
Mn  0.084  0.768  0.151
Mn  0.859  0.395  0.126
Mn  0.644  0.096  0.371
Mn  0.412  0.735  0.347
Mn  0.589  0.270  0.654
Mn  0.364  0.888  0.626
Mn  0.138  0.614  0.876
Mn  0.982  0.666  0.598
Mn  0.915  0.232  0.849
Mn  0.519  0.835  0.903
P  0.207  0.423  0.075
P  0.831  0.046  0.178
P  0.295  0.081  0.425
P  0.413  0.833  0.125
P  0.087  0.667  0.374
P  0.665  0.451  0.322
P  0.325  0.542  0.674
P  0.915  0.337  0.626
P  0.586  0.163  0.875
P  0.710  0.925  0.577
P  0.174  0.958  0.824
P  0.791  0.575  0.924
O  0.036  0.365  0.035
O  0.664  0.027  0.074
O  0.451  0.012  0.182
O  0.319  0.311  0.138
O  0.193  0.209  0.374
O  0.232  0.801  0.066
O  0.054  0.487  0.318
O  0.222  0.588  0.179
O  0.484  0.745  0.021
O  0.006  0.743  0.274
O  0.746  0.549  0.026
O  0.822  0.018  0.291
O  0.253  0.060  0.530
O  0.607  0.281  0.292
O  0.887  0.218  0.213
O  0.467  0.139  0.462
O  0.677  0.480  0.210
O  0.495  0.760  0.228
O  0.018  0.754  0.480
O  0.160  0.527  0.569
O  0.275  0.918  0.320
O  0.271  0.693  0.432
O  0.541  0.556  0.375
O  0.058  0.068  0.880
O  0.945  0.935  0.121
O  0.437  0.430  0.612
O  0.735  0.301  0.569
O  0.832  0.474  0.426
O  0.724  0.088  0.683
O  0.988  0.250  0.524
O  0.497  0.236  0.771
O  0.306  0.497  0.779
O  0.537  0.868  0.534
O  0.116  0.786  0.784
O  0.384  0.713  0.715
O  0.756  0.949  0.475
O  0.196  0.001  0.719
O  0.250  0.441  0.970
O  0.003  0.263  0.729
O  0.510  0.249  0.976
O  0.777  0.411  0.819
********

**Job**
Now retype the whole of the block further above with every line break kept.

**Worked solution**
No. 1
DFT (PBE+U) results for LiMn2P2O8 after structural relaxation.

a b c (Å): 7.297 8.473 14.659
angles (deg): 89.85 90.00 90.00
Atoms (fractional coordinates):
Li  0.835  0.820  0.659
Li  0.682  0.824  0.010
Li  0.822  0.844  0.335
Li  0.322  0.156  0.665
Li  0.182  0.176  0.990
Li  0.335  0.180  0.341
Mn  0.963  0.485  0.667
Mn  0.048  0.499  0.335
Mn  0.005  0.518  0.993
Mn  0.548  0.501  0.665
Mn  0.505  0.482  0.007
Mn  0.463  0.515  0.333
Mn  0.546  0.994  0.174
Mn  0.506  0.976  0.495
Mn  0.458  0.988  0.835
Mn  0.006  0.024  0.505
Mn  0.958  0.012  0.165
Mn  0.046  0.006  0.826
P  0.258  0.302  0.159
P  0.238  0.335  0.515
P  0.256  0.362  0.821
P  0.756  0.638  0.179
P  0.738  0.665  0.485
P  0.758  0.698  0.841
P  0.252  0.810  0.663
P  0.258  0.840  0.023
P  0.232  0.858  0.326
P  0.732  0.142  0.674
P  0.758  0.160  0.977
P  0.752  0.190  0.337
O  0.573  0.284  0.347
O  0.922  0.285  0.361
O  0.753  0.318  0.700
O  0.057  0.325  0.568
O  0.735  0.325  0.017
O  0.394  0.361  0.584
O  0.239  0.345  0.261
O  0.276  0.368  0.926
O  0.434  0.426  0.777
O  0.233  0.462  0.436
O  0.281  0.447  0.099
O  0.088  0.452  0.790
O  0.733  0.538  0.564
O  0.588  0.548  0.210
O  0.781  0.553  0.901
O  0.934  0.574  0.223
O  0.739  0.655  0.739
O  0.776  0.632  0.074
O  0.894  0.639  0.416
O  0.557  0.675  0.432
O  0.235  0.675  0.983
O  0.253  0.682  0.300
O  0.422  0.715  0.639
O  0.073  0.716  0.653
O  0.929  0.808  0.856
O  0.589  0.789  0.878
O  0.735  0.821  0.206
O  0.771  0.829  0.531
O  0.443  0.850  0.075
O  0.096  0.876  0.087
O  0.215  0.881  0.429
O  0.264  0.870  0.767
O  0.052  0.926  0.283
O  0.242  0.962  0.604
O  0.395  0.962  0.292
O  0.263  0.968  0.944
O  0.895  0.038  0.708
O  0.742  0.038  0.396
O  0.763  0.032  0.056
O  0.552  0.074  0.717
O  0.715  0.119  0.571
O  0.764  0.130  0.233
O  0.596  0.124  0.913
O  0.271  0.171  0.469
O  0.943  0.150  0.925
O  0.235  0.179  0.794
O  0.089  0.211  0.122
O  0.429  0.192  0.144

## Properties
The calculation puts the formation energy at -2.48 eV/atom. The value obtained for the energy above the most stable polymorph in this dataset is 54 meV per atom. The crystal system is monoclinic. Its volume is 11.6 Å³ per atom.

No. 2
DFT (PBE+U) results for LiMn3P3O12 after structural relaxation.

a b c (Å): 9.041 9.054 12.267
angles (deg): 109.51 109.90 84.11
Atoms (fractional coordinates):
Li  0.512  0.506  0.012
Li  0.365  0.388  0.375
Li  0.988  0.993  0.489
Li  0.250  0.251  0.751
Mn  0.482  0.163  0.098
Mn  0.011  0.334  0.399
Mn  0.084  0.768  0.151
Mn  0.859  0.395  0.126
Mn  0.644  0.096  0.371
Mn  0.412  0.735  0.347
Mn  0.589  0.270  0.654
Mn  0.364  0.888  0.626
Mn  0.138  0.614  0.876
Mn  0.982  0.666  0.598
Mn  0.915  0.232  0.849
Mn  0.519  0.835  0.903
P  0.207  0.423  0.075
P  0.831  0.046  0.178
P  0.295  0.081  0.425
P  0.413  0.833  0.125
P  0.087  0.667  0.374
P  0.665  0.451  0.322
P  0.325  0.542  0.674
P  0.915  0.337  0.626
P  0.586  0.163  0.875
P  0.710  0.925  0.577
P  0.174  0.958  0.824
P  0.791  0.575  0.924
O  0.036  0.365  0.035
O  0.664  0.027  0.074
O  0.451  0.012  0.182
O  0.319  0.311  0.138
O  0.193  0.209  0.374
O  0.232  0.801  0.066
O  0.054  0.487  0.318
O  0.222  0.588  0.179
O  0.484  0.745  0.021
O  0.006  0.743  0.274
O  0.746  0.549  0.026
O  0.822  0.018  0.291
O  0.253  0.060  0.530
O  0.607  0.281  0.292
O  0.887  0.218  0.213
O  0.467  0.139  0.462
O  0.677  0.480  0.210
O  0.495  0.760  0.228
O  0.018  0.754  0.480
O  0.160  0.527  0.569
O  0.275  0.918  0.320
O  0.271  0.693  0.432
O  0.541  0.556  0.375
O  0.058  0.068  0.880
O  0.945  0.935  0.121
O  0.437  0.430  0.612
O  0.735  0.301  0.569
O  0.832  0.474  0.426
O  0.724  0.088  0.683
O  0.988  0.250  0.524
O  0.497  0.236  0.771
O  0.306  0.497  0.779
O  0.537  0.868  0.534
O  0.116  0.786  0.784
O  0.384  0.713  0.715
O  0.756  0.949  0.475
O  0.196  0.001  0.719
O  0.250  0.441  0.970
O  0.003  0.263  0.729
O  0.510  0.249  0.976
O  0.777  0.411  0.819